Constitutive laws

Constitutive law factory

structuralcodes.materials.constitutive_laws.get_constitutive_laws_list() List[str][source]

Returns a list with valid keywords for constitutive law factory.

structuralcodes.materials.constitutive_laws.create_constitutive_law(constitutive_law_name: str, material: Material) ConstitutiveLaw[source]

A factory function to create the constitutive law.

  • constitutive_law_name (str) – A string defining a valid constitutive law type. The available keys can be get with the method get_constitutive_laws_list.

  • material (Material) – The material containing the properties needed for the definition of the constitutive law.


For working with this facotry function, the material class implementations need to provide special dunder methods (__elastic__, __parabolarectangle__, etc.) needed for the specific material that return the kwargs needed to create the corresponding constitutive law object. If the special dunder method is not found an exception will be raised.

If the consitutive law selected is not available for the specific material, an exception will be raised.

Linear elastic

class structuralcodes.materials.constitutive_laws.Elastic(E: float, name: str | None = None)[source]

Class for elastic constitutive law.

__init__(E: float, name: str | None = None) None[source]

Initialize an Elastic Material.


E (float) – The elastic modulus.

Keyword Arguments:

name (str) – A descriptive name for the constitutive law.

get_stress(eps: ArrayLike) ArrayLike[source]

Return stress given strain.

get_tangent(eps: ArrayLike) ArrayLike[source]

Return the tangent.

get_ultimate_strain(**kwargs) Tuple[float, float][source]

Return the ultimate strain (negative and positive).

set_ultimate_strain(eps_su=typing.Union[float, typing.Tuple[float, float]]) None[source]

Set ultimate strains for Elastic Material if needed.


eps_su (float or (float, float)) – Defining ultimate strain. If a single value is provided the same is adopted for both negative and positive strains. If a tuple is provided, it should be given as (negative, positive).

Elastic plastic

class structuralcodes.materials.constitutive_laws.ElasticPlastic(E: float, fy: float, Eh: float = 0.0, eps_su: float | None = None, name: str | None = None)[source]

Class for elastic-plastic Constitutive Law.

__init__(E: float, fy: float, Eh: float = 0.0, eps_su: float | None = None, name: str | None = None) None[source]

Initialize an Elastic-Plastic Material.

== Unrelated to this article: records of molecules ==
/*
Entry 1:
{
  "formula": "C30H43CdNO4P2S5",
  "method": "ωB97M-V with the def2-TZVPD basis set",
  "charge": -2,
  "lumo_ev": 4.4,
  "elements": ["Cd", "C", "C", "C", "P", "C", "C", "C", "C", "C", "C", "C", "C", "C", "C", "N", "C", "C", "C", "C", "C", "C", "C", "P", "C", "C", "C", "C", "C", "C", "H", "H", "H", "H", "H", "H", "H", "H", "H", "H", "H", "H", "H", "H", "H", "H", "H", "H", "H", "H", "H", "H", "H", "H", "H", "H", "H", "H", "H", "H", "H", "H", "H", "H", "H", "H", "H", "H", "H", "H", "O", "C", "S", "C", "C", "S", "S", "S", "C", "S", "O", "O", "O", "H", "H", "H"],
  "positions_angstrom": [[-0.960, -0.879, -0.739], [-4.129, -0.261, 1.350], [-3.215, -0.545, 2.542], [-3.701, 0.279, 3.731], [-1.453, -0.375, 1.868], [-0.433, -1.381, 3.093], [1.029, -1.149, 2.736], [-0.660, -1.132, 4.579], [-0.728, 1.269, 2.138], [-0.926, 2.025, 3.285], [-0.238, 3.202, 3.547], [-0.542, 4.031, 4.764], [0.734, 3.591, 2.627], [0.942, 2.877, 1.474], [0.188, 1.720, 1.139], [0.407, 1.035, 0.000], [0.825, 1.697, -1.111], [0.528, 3.039, -1.408], [1.066, 3.656, -2.511], [1.895, 2.963, -3.392], [2.603, 3.664, -4.521], [2.079, 1.604, -3.187], [1.554, 0.968, -2.078], [1.663, -0.775, -1.619], [3.191, -0.605, -0.525], [3.549, -1.916, 0.167], [4.384, 0.031, -1.228], [2.187, -1.643, -3.208], [3.054, -2.880, -3.001], [0.850, -2.047, -3.832], [-3.949, -0.970, 0.543], [-5.181, -0.318, 1.636], [-3.909, 0.733, 0.962], [-3.277, -1.614, 2.800], [-3.750, 1.327, 3.449], [-4.706, -0.050, 4.005], [-3.069, 0.164, 4.607], [-0.688, -2.422, 2.860], [1.333, -0.139, 3.006], [1.668, -1.861, 3.257], [1.164, -1.272, 1.663], [-0.528, -0.079, 4.819], [-1.651, -1.452, 4.893], [0.077, -1.697, 5.151], [-1.658, 1.701, 4.006], [-0.883, 3.403, 5.587], [0.344, 4.579, 5.085], [-1.329, 4.760, 4.551], [1.334, 4.476, 2.820], [1.719, 3.205, 0.792], [-0.160, 3.569, -0.766], [0.824, 4.697, -2.700], [2.035, 4.525, -4.869], [3.586, 4.018, -4.193], [2.767, 2.992, -5.363], [2.654, 1.051, -3.920], [2.827, 0.096, 0.238], [4.166, -2.541, -0.472], [4.092, -1.732, 1.094], [2.640, -2.466, 0.402], [4.723, -0.584, -2.060], [4.110, 1.011, -1.615], [5.215, 0.151, -0.531], [2.709, -0.948, -3.877], [2.643, -3.499, -2.208], [3.076, -3.468, -3.920], [4.081, -2.617, -2.750], [0.368, -2.791, -3.193], [0.187, -1.184, -3.894], [0.977, -2.471, -4.831], [-3.484, -7.578, 0.058], [-3.032, -6.461, -0.072], [-1.439, -5.966, 0.473], [-1.455, -4.288, -0.128], [-2.605, -3.901, -0.731], [-2.972, -2.377, -1.449], [-3.884, -5.125, -0.832], [-0.036, -3.358, 0.094], [-3.735, 0.535, -3.002], [-2.153, 1.140, -2.302], [-1.139, 0.173, -2.745], [-1.995, 2.462, -2.874], [-2.332, 1.125, -0.853], [-3.724, 0.726, -4.067], [-4.534, 1.074, -2.511], [-3.808, -0.524, -2.802]],
*/

  • E (float) – The elastic modulus.

  • fy (float) – The yield strength.

Keyword Arguments:
  • Eh (float) – The hardening modulus.

  • eps_su (float) – The ultimate strain.

  • name (str) – A descriptive name for the constitutive law.

get_stress(eps: ArrayLike) ArrayLike[source]

Return the stress given strain.

get_tangent(eps: ArrayLike) ArrayLike[source]

Return the tangent for given strain.

get_ultimate_strain(yielding: bool = False) Tuple[float, float][source]

Return the ultimate strain (negative and positive).

Parabola rectangle

class structuralcodes.materials.constitutive_laws.ParabolaRectangle(fc: float, eps_0: float = -0.002, eps_u: float = -0.0035, n: float = 2.0, name: str | None = None)[source]

Class for parabola rectangle constitutive law.

The stresses and strains are assumed negative in compression and positive in tension.

__init__(fc: float, eps_0: float = -0.002, eps_u: float = -0.0035, n: float = 2.0, name: str | None = None) None[source]

Initialize a Parabola-Rectangle Material.


fc (float) – The strength of concrete in compression.

Keyword Arguments:
  • eps_0 (float) – Peak strain of concrete in compression. Default value = -0.002.

  • eps_u (float) – Ultimate strain of concrete in compression. Default value = -0.0035.

  • n (float) – Exponent for the pre-peak branch. Default value = 2.

  • name (str) – A name for the constitutive law.

get_stress(eps: ArrayLike) ArrayLike[source]

Return the stress given strain.

get_tangent(eps: ArrayLike) ArrayLike[source]

Return the tangent given strain.

get_ultimate_strain(yielding: bool = False) Tuple[float, float][source]

Return the ultimate strain (negative and positive).

Bilinear elastic perfectly plastic

class structuralcodes.materials.constitutive_laws.BilinearCompression(fc: float, eps_c: float, eps_cu: float | None = None, name: str | None = None)[source]

Class for Bilinear Elastic-PerfectlyPlastic Constitutive Law for Concrete (only compression behavior).

__init__(fc: float, eps_c: float, eps_cu: float | None = None, name: str | None = None) None[source]

Initialize a BilinearCompression Material.

  • fc (float) – Compressive strength (negative number).

  • eps_c (float) – Strain at compressive strength (pure number).

Keyword Arguments:
  • eps_cu (float) – Ultimate strain (pure number).

### Here the piece breaks off for quantum chemistry results
Density functional theory data (the ωB97M-V functional and the def2-TZVPD basis) for C30H30CuN5SSi as an isolated structure.

The geometry in XYZ format:
```
68
Properties=species:S:1:pos:R:3:forces:R:3
Cu 0.9768 0.6058 0.4240 -0.35 -0.69 0.51
N 2.4511 3.1917 -0.9403 0.01 -0.02 0.03
C 1.0843 3.3541 -0.7703 -0.24 -0.05 0.14
C 0.4823 4.4575 -1.3936 0.02 0.14 -0.03
C -0.8805 4.6220 -1.3049 0.14 -0.09 0.05
C -1.6275 3.6794 -0.6029 -0.09 0.04 0.03
C -0.9554 2.6443 0.0050 -0.08 0.13 -0.03
N 0.3782 2.4869 -0.0492 -0.18 0.38 -0.42
C 3.2925 2.1172 -0.6653 0.07 -0.18 0.15
C 4.5361 2.0868 -1.3077 0.09 0.07 -0.05
C 5.3758 1.0170 -1.0902 -0.14 0.11 0.04
C 4.9793 0.0163 -0.2094 0.06 -0.08 0.05
C 3.7638 0.1527 0.4224 0.17 0.07 -0.04
N 2.9225 1.1732 0.1930 0.38 0.06 -0.22
H 2.8460 3.8442 -1.5948 0.03 0.04 -0.01
H 1.0928 5.1638 -1.9430 -0.01 -0.01 -0.01
H -1.3594 5.4658 -1.7833 0.01 -0.01 -0.03
H -2.7055 3.7398 -0.5474 0.02 -0.02 0.03
H -1.4887 1.8751 0.5505 0.00 -0.03 -0.01
H 4.8243 2.8970 -1.9664 -0.02 -0.04 -0.04
H 6.3309 0.9659 -1.5954 0.00 -0.01 -0.01
H 5.6011 -0.8472 -0.0219 -0.01 0.03 0.05
H 3.4243 -0.5686 1.1544 -0.04 -0.04 -0.06
C -0.3916 -4.9395 2.8499 0.04 0.00 0.03
C -1.4955 -4.6559 2.0595 -0.04 -0.07 0.02
C -1.4569 -3.5979 1.1600 -0.01 -0.04 -0.05
C -0.3196 -2.8012 1.0266 0.04 0.35 0.04
C 0.7771 -3.1034 1.8375 0.02 -0.02 0.02
C 0.7519 -4.1601 2.7352 0.00 -0.02 -0.01
Si -0.1865 -1.2879 -0.1370 0.05 -0.08 -0.34
C 0.4819 -2.0379 -1.7801 -0.04 0.14 0.20
C 1.5738 -1.4391 -2.4107 0.00 0.03 -0.04
C 2.1311 -1.9626 -3.5706 -0.02 -0.04 -0.04
C 1.5946 -3.1118 -4.1332 0.08 0.08 0.00
C 0.5010 -3.7201 -3.5319 -0.05 -0.08 -0.04
C -0.0432 -3.1884 -2.3715 -0.04 -0.03 0.01
C -2.0168 -0.8500 -0.5297 0.24 0.06 0.10
C -2.8864 -0.5622 0.5286 -0.05 -0.05 -0.02
C -4.1356 0.0027 0.3183 -0.01 0.01 0.04
C -4.5500 0.3021 -0.9740 -0.04 0.04 -0.01
C -3.7160 0.0049 -2.0421 -0.07 0.03 -0.02
C -2.4680 -0.5647 -1.8193 0.02 -0.01 0.00
H -0.4210 -5.7586 3.5583 -0.02 0.00 -0.02
H -2.3888 -5.2635 2.1482 -0.01 0.02 -0.02
H -2.3306 -3.3884 0.5510 0.00 0.00 0.02
H 1.6672 -2.4845 1.7696 -0.02 0.01 0.03
H 1.6157 -4.3688 3.3553 0.00 0.00 -0.01
H 1.9992 -0.5367 -1.9810 0.00 -0.01 0.04
H 2.9830 -1.4765 -4.0328 -0.01 -0.01 0.00
H 2.0300 -3.5294 -5.0330 -0.03 -0.01 0.00
H 0.0775 -4.6150 -3.9732 -0.01 0.00 0.03
H -0.8947 -3.6803 -1.9108 0.02 -0.02 -0.01
H -2.5725 -0.8038 1.5420 -0.04 0.01 -0.03
H -4.7944 0.2079 1.1558 0.00 -0.01 -0.01
H -5.5181 0.7579 -1.1437 -0.01 -0.04 -0.01
H -4.0445 0.2173 -3.0531 0.03 0.00 0.00
H -1.8261 -0.7888 -2.6651 -0.01 0.03 0.00
C -2.7792 1.9443 3.2779 0.10 0.06 0.03
N -1.5107 1.2478 3.2490 -0.15 0.09 0.01
C -0.3020 1.8276 3.2348 -0.09 0.02 -0.03
N -0.2652 3.1774 3.2758 -0.17 0.04 -0.02
S 1.0955 0.9160 3.1781 0.33 -0.12 0.02
H -3.5785 1.2120 3.2112 0.00 0.01 -0.01
H -2.8789 2.6267 2.4281 -0.04 -0.03 -0.02
H -2.9031 2.5131 4.2034 0.00 -0.02 0.00
H -1.4992 0.2428 3.2229 0.07 -0.04 -0.03
H -1.0865 3.7380 3.1170 0.04 -0.03 0.02
H 0.6354 3.5978 3.1357 0.03 0.01 0.00
```

  • name (str) – A descriptive name for the constitutive law.

get_stress(eps: ArrayLike) ArrayLike[source]

Return the stress given strain.

get_tangent(eps: ArrayLike) ArrayLike[source]

Return the tangent for given strain.

get_ultimate_strain(yielding: bool = False) Tuple[float, float][source]

Return the ultimate strain (negative and positive).


class structuralcodes.materials.constitutive_laws.Sargin(fc: float, eps_c1: float = -0.0023, eps_cu1: float = -0.0035, k: float = 2.04, name: str | None = None)[source]

Class for Sargin constitutive law.

The stresses and strains are assumed negative in compression and positive in tension.

References: Sargin, M. (1971), “Stress-strain relationship for concrete and the analysis of structural concrete section, Study No. 4, Solid Mechanics Division, University of Waterloo, Ontario, Canada

__init__(fc: float, eps_c1: float = -0.0023, eps_cu1: float = -0.0035, k: float = 2.04, name: str | None = None) None[source]

Initialize a Sargin Material.


fc (float) – The strength of concrete in compression

Keyword Arguments:
  • eps_c1 (float) – Peak strain of concrete in compression. Default value = -0.0023.

  • eps_u (float) – Ultimate strain of concrete in compression. Default value = -0.0035.

  • k (float) – Plasticity number. Default value = 2.04.

  • name (str) – A name for the constitutive law.


ValueError – If k is less or equal to 0.


If positive values are input for fc, eps_c1 and eps_cu1 are input, they will be assumed negative.

get_stress(eps: ArrayLike) ArrayLike[source]

Return the stress given the strain.

get_tangent(eps: ArrayLike) ArrayLike[source]

Return the tangent given strain.

get_ultimate_strain(yielding: bool = False) Tuple[float, float][source]

Return the ultimate strain (negative and positive).


class structuralcodes.materials.constitutive_laws.Popovics(fc: float, eps_c: float = -0.002, eps_cu: float = -0.0035, Ec: float | None = None, name: str | None = None)[source]

Class for Popovics-Mander constitutive law.

The stresses and strains are assumed negative in compression and positive in tension.

If the relation Ec = 5000 * sqrt(fc) is used for elastic modulus, the constitutive law is identical to the one proposed by Mander et al. (1988).

References: Popovics, S., 1973, “A Numerical Approach to the Complete Stress-Strain Curve of Concrete”, Cement and Concrete Research, 3(4), 583-599.

Mander, J.B., Priestley, M.J.N., Park, R., 1988, “Theoretical Stress-Strain Model for Confined Concrete”, Journal of Structural Engineering, 114(8), 1804-1826.

__init__(fc: float, eps_c: float = -0.002, eps_cu: float = -0.0035, Ec: float | None = None, name: str | None = None) None[source]

Initialize a Popovics Material.


fc (float) – the strength of concrete in compression

Keyword Arguments:
  • eps_c (float) – Peak strain of concrete in compression. Default value = -0.002.

  • eps_cu (float) – Ultimate strain of concrete in compression. Default value = -0.0035.

  • E (optional float) – Elastic modulus of concrete. If None, the equation Ec = 5000 * fc**0.5 proposed by Mander et al. (1988) is adopted (fc in MPa). Default value = None.

  • name (str) – A name for the constitutive law.


ValueError – If E is less or equal to 0.


If positive values are input for fc, eps_c and eps_cu are input, they will be assumed negative.

get_stress(eps: ArrayLike) ArrayLike[source]

Return the stress given the strain.

get_tangent(eps: ArrayLike) ArrayLike[source]

Return the tangent given strain.

get_ultimate_strain(yielding: bool = False) Tuple[float, float][source]

Return the ultimate strain (negative and positive).


class structuralcodes.materials.constitutive_laws.UserDefined(x: ArrayLike, y: ArrayLike, name: str | None = None, flag: int = 0)[source]

Class for a user defined constitutive law.

The curve is defined with positive and optionally negative values. After the last value, the stress can go to zero to simulate failure (default), or be maintained constante, or the last tanget or secant values may be maintained indefinetely. The flag parameter controls this behavior.

__init__(x: ArrayLike, y: ArrayLike, name: str | None = None, flag: int = 0) None[source]

Initialize a UserDefined constitutive law.

  • x (ArrayLike) – Data for strains.

  • y (ArrayLike) – Data for stresses. Must be of same length as x.

Keyword Arguments:
  • name (Optional, str) – A name for the constitutive law.

  • flag (Optional) – A flag specifying the behavior after the last point. Admissible values: 0 (default): stress drops to zero after ultimate strain, 1: stress is mantained constant, 2: last tangent is used, 3: last secant is used.

get_stress(eps: ArrayLike) ArrayLike[source]

Return the stress given strain.

get_tangent(eps: ArrayLike) ArrayLike[source]

Return the tangent given strain.

get_ultimate_strain(**kwargs) Tuple[float, float][source]

Return the ultimate strain (negative and positive).

set_ultimate_strain(eps_su=typing.Union[float, typing.Tuple[float, float]]) None[source]

Set ultimate strains for Elastic Material if needed.


eps_su (float or (float, float)) – Defining ultimate strain. If a single value is provided the same is adopted for both negative and positive strains. If a tuple is provided, it should be given as (negative, positive).